Tower Construction

Mark's was consecrated a new bell tower, a copy of the ruined, but with reinforced construction. Two legendary medieval towers of Bologna – the older and younger Azinelli Garizendi. The growth of high towers – 97.2 meters, the youngest – 48 meters. In the XII century, wealthy families of Bologna, led the competition – who will build a high tower, he is worthy of highest honor. The family built the tower Azinelli 97.2 meters, but the tower was unstable and deviate from the vertical by 2.2 meters. Who won in this competition is unknown, as the tower leaned on family Garizendi threatens the value of 3.2 meters, and in the XIV century it was dismantled to its present height – 48 meters. And in Azinelli tower in the XIV century.

housed a prison. In the XVII century. and later astronomer Javan Richcholi Batista and his namesake physicist Grimaldi tower used for the experiments with the acceleration of free fall. Later on the tower TV antenna installed. So tower can safely assume Azinelli old winner of a medieval event! Now fast forward to the north of Italy in Trentino, in the town of Silandro, which is more like Austria than Italy. Local Bell Tower reaches 97 meters in height! It almost caught up the bell tower of the church of St.
Someone pasted molecular data at this point.
'''
No. 1
18
Properties=species:S:1:pos:R:3:forces:R:3:mulliken_charge:R:1 method="wB97M-V/def2-TZVPD" de_lowest_ev=0.5441 homo_lumo_gap_ev=10.900 spin_multiplicity=1 e_lumo_ev=0.23 e_homo_ev=-10.67 smiles="CC(C)(CC#N)C(=O)O"
C 0.25033 0.08533 1.67556 -0.189 0.164 0.159 -1.76
C 0.11578 -0.14981 0.16295 0.147 -0.805 -0.170 1.63
C 1.15896 -1.19235 -0.27266 0.389 -0.620 -0.249 -1.69
C 0.30281 1.15419 -0.61160 -0.837 0.023 -1.342 -0.81
C -0.28811 1.02936 -2.01759 1.130 0.642 -0.058 0.25
N -0.56180 1.04276 -3.14227 -0.017 -0.189 1.258 -0.46
C -1.30795 -0.68906 -0.13257 0.399 -1.800 0.680 0.39
O -1.53188 -1.83923 -0.47844 0.149 2.462 0.472 -0.55
O -2.31457 0.12298 0.26036 -0.979 -0.190 -0.395 -0.47
H 0.00450 -0.82439 2.23440 0.107 0.122 -0.147 0.42
H -0.41943 0.87701 2.02687 0.023 -0.100 -0.044 0.31
H 1.27062 0.38710 1.93601 -0.112 -0.094 -0.143 0.44
H 1.32680 -1.24068 -1.35389 -0.263 0.258 0.057 0.38
H 2.14215 -1.02800 0.18206 -0.190 0.416 0.018 0.40
H 0.90281 -2.22109 0.00440 -0.350 0.356 0.116 0.37
H 1.36181 1.41740 -0.70651 -0.220 -0.030 -0.023 0.42
H -0.21700 1.98671 -0.12458 0.145 -0.039 -0.054 0.37
H -2.19581 1.08176 0.35752 0.667 -0.576 -0.136 0.37

***

No. 2
18
Properties=species:S:1:pos:R:3:forces:R:3:mulliken_charge:R:1 method="wB97M-V/def2-TZVPD" de_lowest_ev=6.9631 homo_lumo_gap_ev="5.974 / 5.603" spin_multiplicity=1 e_lumo_ev="-1.48 / -1.64" e_homo_ev="-7.46 / -7.24"
C -0.05576 0.58639 -1.87448 -0.866 0.299 0.614 -1.29
C 1.44673 0.06774 0.09433 -0.506 -1.763 -1.593 0.50
C -0.74816 0.27837 0.80551 1.467 1.996 1.847 0.79
C 0.18973 -0.38306 -0.70442 4.435 -0.492 -1.764 0.60
C 0.92696 0.58653 1.17456 -2.861 -0.339 0.416 -0.89
C -1.30338 -0.53034 1.75370 0.748 0.213 -0.177 -0.83
O 2.68115 -0.30027 -0.29026 -0.451 0.387 0.167 -0.57
O -1.38923 1.42881 0.40178 -0.278 -0.090 0.368 -0.46
N 0.23924 -1.68174 -1.02391 -2.406 0.222 0.490 -0.83
H 2.54967 -0.93310 -1.02403 -0.031 0.196 0.258 0.36
H -2.19351 1.54939 0.92471 -0.073 -0.015 -0.182 0.32
H -0.21773 -2.27904 -0.33558 1.030 -0.324 -0.120 0.21
H 1.19588 0.84268 2.18258 0.068 0.100 0.050 0.41
H 0.12838 1.62389 -1.59868 -0.008 -0.039 0.002 0.37
H -1.09704 0.48542 -2.18320 0.108 0.006 -0.214 0.33
H 0.60410 0.31583 -2.69937 -0.032 -0.223 0.176 0.33
H -2.12584 -0.19282 2.37241 -0.474 -0.214 -0.339 0.27
H -0.83117 -1.46468 2.02435 0.127 0.079 0.001 0.34

***

No. 3
19
Properties=species:S:1:pos:R:3:forces:R:3:mulliken_charge:R:1 method="wB97M-V/def2-TZVPD" de_lowest_ev=4.7224 homo_lumo_gap_ev=9.803 spin_multiplicity=1 e_lumo_ev=0.73 e_homo_ev=-9.08 smiles="C#CCOC(=O)[C@H](N)CS"
C -2.94837 1.39566 0.51816 -1.678 3.823 1.676 0.00
C -2.62617 0.32928 0.18897 1.403 -4.207 -1.181 -0.24
C -2.21327 -0.98708 -0.25228 0.066 3.401 -7.988 -0.59
O -0.78886 -1.02546 -0.73485 -0.894 0.964 -0.362 -0.32
C 0.14210 -0.90300 0.21776 -1.038 -0.612 3.456 0.34
O -0.07499 -1.04196 1.42765 -0.133 0.285 -2.516 -0.59
C 1.48888 -0.56053 -0.28827 -0.804 1.468 2.269 0.26
N 2.46462 -0.96651 0.69725 5.435 2.359 -0.183 -0.70
'''

Nicholas in Lecco (Lombardia). Neo-Gothic tower was added in 1902-04 years. 96 meter high bell tower became a symbol of the city. Siena and Florence – the eternal rival, were in one place, with towers of equal height – 94 meters. The tower of Palazzo Vecchio in Florence was built in 1310. Inside the tower is a small room, called for special otelchik criminals, among others, are kept Cosimo de 'Medici to his expulsion from the city and the Dominican priest and dictator of Florence, Girolamo Savonarola, before, was hanged and burned in the square. On the tower are three bells: Martinelli, bell, beating at noon and largest bell. In 1667 the tower was decorated with giant clock that is still spravno work. Manju Tower (Torre del Mangia) from Siena on the famous towers at the Campo Comunale Palazzo. Its name can be roughly translated as "a tower fan to eat," a funny name comes from the fact that the first keeper of the tower Giovanni di Balducho greatly appreciate good food and spend it on all their income. The tower was built in 1325-1348 years. In 1360 Bartolomeo Giudi assembled mechanical clock that hung in the tower. In 1349, placed the first bell, which in 1666 had to be replaced by a new one, named sientsami Sunto, or big bell, dedicated to the Virgin Mary. Weight about 7 bells tons. The bell sounds in the traditional way, only when starting the Palio, it is a signal of the approaching holiday. On the other days, the bell strikes mechanical hammer. Until 1425 was a metal hammer, and then it was replaced by a stone. The modern hammer was used in 1780, but the stone is kept in the Palazzo Comunale. We completed the top ten tallest towers and bell towers of Italy.